Request =
The reader should count the lines below that contain the word "direct" and give the number alone.

Material =
/*
Simulated X-ray powder pattern of Na2CrNiF7 for copper Kα, from the GGA+U geometry in the Materials Project.

Main lines, most intense first (5 to 70 degrees two-theta):
- 2θ = 29.3°, intensity 100
- 2θ = 30.0°, intensity 88
- 2θ = 49.4°, intensity 83
- 2θ = 14.5°, intensity 64
- 2θ = 57.9°, intensity 37
- 2θ = 16.9°, intensity 32

Cell lengths 7.3826, 7.3826, 7.3826 Å; angles 120.90, 90.38, 118.67 degrees
Positions (direct):
1 Na 0.0000 0.0000 0.0000
2 Na 0.5000 0.0000 0.0000
3 Na 0.5000 0.0000 0.5000
4 Na 0.5000 0.5000 0.5000
5 Cr 0.0000 0.5000 0.5000
6 Cr 0.5000 0.5000 0.0000
7 Ni 0.0000 0.0000 0.5000
8 Ni 0.0000 0.5000 0.0000
9 F 0.0527 0.2379 0.4170
10 F 0.0527 0.6357 0.8148
11 F 0.1058 0.8558 0.2500
12 F 0.3198 0.7292 0.5906
13 F 0.3209 0.2379 0.6852
14 F 0.3209 0.6357 0.0830
15 F 0.3614 0.2708 0.0906
16 F 0.6386 0.7292 0.9094
17 F 0.6791 0.3643 0.9170
18 F 0.6791 0.7621 0.3148
19 F 0.6802 0.2708 0.4094
20 F 0.8942 0.1442 0.7500
21 F 0.9473 0.3643 0.1852
22 F 0.9473 0.7621 0.5830

=====

Simulated X-ray powder pattern of Na3Cr2P2O8F3 for copper Kα, from the GGA+U geometry in the Materials Project.

Main lines, most intense first (5 to 70 degrees two-theta):
- 2θ = 27.7°, intensity 100
- 2θ = 16.2°, intensity 46
- 2θ = 16.0°, intensity 31
- 2θ = 32.2°, intensity 29
- 2θ = 32.4°, intensity 25
- 2θ = 28.3°, intensity 25

Cell lengths 6.4304, 6.4335, 16.9540 Å; angles 100.67, 100.59, 90.05 degrees
Positions (direct):
1 Na 0.0000 0.0000 0.0000
2 Na 0.0035 0.3950 0.3325
3 Na 0.1375 0.5441 0.0005
4 Na 0.2435 0.3946 0.6715
5 Na 0.4942 0.9790 0.6686
6 Na 0.5462 0.6623 0.3336
7 Na 0.5945 0.1234 0.3329
8 Na 0.6509 0.5128 0.9966
9 Na 0.9805 0.8783 0.6659
10 Cr 0.1017 0.9542 0.4539
11 Cr 0.3121 0.1634 0.8780
12 Cr 0.4410 0.2837 0.1197
13 Cr 0.6566 0.4955 0.5483
14 Cr 0.7724 0.6195 0.7892
15 Cr 0.9799 0.8330 0.2109
16 P 0.1292 0.4802 0.5045
17 P 0.2901 0.6526 0.8362
18 P 0.4543 0.8101 0.1648
19 P 0.6236 0.9771 0.5008
20 P 0.7895 0.1489 0.8342
21 P 0.9521 0.3113 0.1600
22 O 0.0072 0.1942 0.8925
23 O 0.0772 0.6047 0.7742
24 O 0.0905 0.6406 0.4463
25 O 0.0950 0.2615 0.4467
26 O 0.1222 0.2958 0.1058
27 O 0.2895 0.8663 0.8947
28 O 0.2976 0.8227 0.2251
29 O 0.3310 0.4846 0.8919
30 O 0.3513 0.5081 0.5584
31 O 0.4071 0.9387 0.4410
32 O 0.4099 0.9722 0.1082
33 O 0.4410 0.5916 0.1066
34 O 0.4580 0.6437 0.7814
35 O 0.6279 0.1603 0.8920
36 O 0.6449 0.1924 0.5595
37 O 0.6616 0.8149 0.5589
38 O 0.6721 0.8481 0.2235
39 O 0.7390 0.2748 0.0990
40 O 0.7428 0.3055 0.7750
41 O 0.7815 0.9290 0.7771
42 O 0.7822 0.9520 0.4412
43 O 0.9666 0.5276 0.2188
44 O 0.9768 0.5088 0.5668
45 O 0.9827 0.1475 0.2171
46 F 0.0266 0.8969 0.3324
47 F 0.1682 0.0113 0.5742
48 F 0.2587 0.1059 0.7582
49 F 0.3628 0.2392 0.9988
50 F 0.5170 0.3442 0.2387
51 F 0.6229 0.4379 0.4289
52 F 0.7003 0.5750 0.6688
53 F 0.8454 0.6670 0.9089
54 F 0.9372 0.7665 0.0908

=====

Simulated X-ray powder pattern of Rb2NaCrF6 for copper Kα, from the GGA+U geometry in the Materials Project.

Main lines, most intense first (5 to 70 degrees two-theta):
- 2θ = 29.4°, intensity 100
- 2θ = 42.1°, intensity 52
- 2θ = 52.2°, intensity 37
- 2θ = 36.2°, intensity 36
- 2θ = 61.0°, intensity 30
- 2θ = 69.1°, intensity 18

Cell lengths 6.0754, 6.0754, 6.0754 Å; angles 60.00, 60.00, 60.00 degrees
Positions (direct):
1 Rb 0.2500 0.2500 0.2500
2 Rb 0.7500 0.7500 0.7500
3 Na 0.0000 0.0000 0.0000
4 Cr 0.5000 0.5000 0.5000
5 F 0.2718 0.2718 0.7282
6 F 0.2718 0.7282 0.2718
7 F 0.2718 0.7282 0.7282
8 F 0.7282 0.2718 0.2718
9 F 0.7282 0.2718 0.7282
10 F 0.7282 0.7282 0.2718

=====

Entry 1:
# Pr2DyHg3
Theoretical X-ray diffraction stick pattern, Cu Ka. Input: a DFT-relaxed cell (GGA-PBE, Alexandria).
No peak broadening, texture or thermal motion is included.

Principal peaks in the range 2θ from 10° to 90°, by angle:
index, 2θ (°), I (rel.)
1 0 3, 33.1, 100
1 1 0, 33.4, 51
2 0 0, 47.9, 19
1 1 6, 59.0, 17
2 1 3, 59.5, 38
2 0 6, 69.5, 12

```
data_Pr2DyHg3
_space_group_name_H-M_alt 'P 4/m m m'
_space_group_IT_number 123
*/

Solution =
3